Conservative Jewish holiday procedure question

To give a little background:

My boss is a conservative and quite observant Jewish person. I am not - and grew up in an area with a Jewish community of less than one-tenth of one percent of the population.

As such, he was on vacation for the duration of Passover, and out of contact.

After sundown on Monday, April 2nd (hence after the beginning of the first day of Passover), his mother (who is quite elderly) was rushed to the hospital for emergency heart surgery. Her other children (my boss’ brothers) were notified of this the following morning. They are significantly less observant than my boss, so they picked up their phone when called. It also took some time for them to be located as persons to call as my boss was listed as the primary contact on all the information anyone could find.

They only came up with the brothers’ names and phone numbers Tuesday morning when they called the office and I picked up the phone. I provided their names and contact information to the hospital after explaining repeatedly and at great length that no, my boss would not be picking up the phone.

As I wasn’t sure about the convention of the situation, I started taking a poll around the office. Since I work in a large corporate law firm in New York, I figured that there just had to be someone around who was Jewish enough to be aware of the rules but non-observant enough to actually be in the office on the first day of Passover. Working under the information I received (that there was a family medical emergency exemption to the customary no-contact rules), I sent my boss a note via messenger containing all the information I was in possession of. The note was an unsealed, unfolded piece of paper (so as to avoid opening envelopes) to be slipped under his front door after ringing the doorbell.

-- Here the page breaks off for calculated molecules --
~~~
Entry from the Open Molecules 2025 dataset: C15H56BrHgNNiO15 as an isolated structure (ωB97M-V/def2-TZVPD).

gap between HOMO and LUMO (spin up / spin down)	8.4 / 8.3	eV
multiplicity	3
charge	0

Last column: Löwdin spin population.
CARTESIAN COORDINATES (ANGSTROEM)
Ni -0.67427 -1.12479 1.58722  1.7292
Hg 1.47240 0.43077 -0.57075  0.0019
N -0.11225 6.12267 0.02841  0.0000
H 0.60605 6.50254 0.62173  0.0000
H -0.28655 4.12139 -0.19153  0.0000
H -0.16214 6.46418 -0.97335  0.0000
H -0.93986 6.54766 0.44203  0.0000
O -1.48802 -3.47009 1.78834  0.0261
C -0.38899 -4.06659 1.04773  0.0010
C 0.29592 -3.27075 -0.04144  0.0062
O 0.59340 -1.99626 0.41638  0.0682
H -0.75342 -5.01619 0.61145  0.0000
H 0.30002 -4.37947 1.80586  0.0000
H -0.48918 -3.05825 -0.83218  0.0016
H 1.10687 -3.92356 -0.38643  0.0011
O -0.47557 3.25585 -0.48497  0.0003
C -1.20214 2.62360 0.62250  0.0003
C -0.29361 1.81385 1.57906  0.0040
O 0.28101 0.55528 1.15011  0.0387
H -2.02298 2.03271 0.17952  0.0000
H -1.70770 3.40061 1.21601  0.0000
H -1.05734 1.71299 2.35555  0.0002
H 0.41642 2.54477 1.88682  0.0012
Br 2.68317 0.37909 -2.68934  0.0011
C -7.90945 0.81938 -2.42498  0.0000
O -7.56457 0.91576 -1.04453  0.0000
H -7.77937 1.84799 -2.81142  0.0000
H -7.23510 0.19276 -3.05439  0.0000
H -8.94897 0.47805 -2.51225  0.0000
H -7.53990 0.00535 -0.71551  0.0000
C 3.18511 -0.79262 1.98978  -0.0008
O 3.50026 -0.13745 0.78448  0.0005
H 4.10851 -1.11688 2.43683  0.0000
H 2.78524 -0.16422 2.77493  0.0000
H 2.47319 -1.61823 1.86204  -0.0007
H 4.07378 0.56971 1.03543  0.0000
C -2.78562 -5.11516 4.53681  0.0000
O -3.35666 -5.20373 3.23659  0.0004
H -2.41394 -4.12031 4.82031  0.0000
H -3.50376 -5.30868 5.33580  0.0000
H -1.96827 -5.82289 4.56681  0.0000
H -2.76573 -4.67960 2.67309  0.0002
C -4.40458 -0.06564 -1.92500  0.0000
O -3.02521 0.12814 -1.50293  0.0005
H -5.09750 0.27649 -1.19234  0.0000
H -4.59111 0.47990 -2.88880  0.0000
H -4.55385 -1.05338 -2.33728  0.0000
H -2.72087 0.98630 -1.86054  0.0000
C 3.15188 -3.71699 -3.29622  0.0000
O 3.37875 -3.55526 -4.70784  0.0000
H 4.11712 -3.79032 -2.79591  0.0000
H 2.54500 -2.88113 -2.88813  0.0000
H 2.68440 -4.65129 -3.20477  0.0000
H 3.83491 -2.70039 -4.89123  0.0000
C 6.66786 2.42298 1.23401  0.0000
O 5.33805 2.28438 0.76921  0.0000
H 6.67886 2.58564 2.32707  0.0000
H 7.20109 1.46998 1.10324  0.0000
H 7.17753 3.28723 0.74858  0.0000
H 5.37796 2.28790 -0.21794  0.0000
C 1.25964 2.72997 -5.12593  0.0000
O 1.09589 3.40132 -3.87148  0.0000
H 1.26652 1.68688 -5.06586  0.0000
H 0.41396 2.95342 -5.81490  0.0000
H 2.14683 3.10740 -5.59544  0.0000
H 0.54628 2.88790 -3.22983  0.0000
C -0.18505 -0.66756 4.18244  0.0091
O -1.14096 -1.28629 3.39653  0.0712
H 0.25732 -1.44046 4.79578  0.0015
H 0.70438 -0.35332 3.60846  0.0028
H -0.47311 0.17693 4.80877  0.0005
H -1.22065 -2.89110 2.51904  0.0010
C -2.95719 3.78969 -2.39439  0.0000
O -2.16965 2.62409 -2.57654  0.0000
H -3.25668 3.92247 -1.33909  0.0000
H -2.45572 4.71635 -2.73340  0.0000
~~~
-- The page goes on --

I did this on the principle that he would like to be notified and also because his brothers are exceptionally bad at managing crisis situations, and not the persons the hospital and doctors had as designated next-of-kin (that would be my boss only). He was the medical decision maker of record (which I knew as this is the second such emergency surgery his mother has required this year).

So my question is this (and I’m hoping a Doper of appropriate religious background will help me out):

Was that the correct action on my part?*

*For the record, he’s pissed I sent the note or attempted contact at all in any form.

Your boss was seriously pissed that you tried to let him know that his mother was rushed to the hospital for emergency heart surgery?!?

Your boss is a putz.

By the way, the rules for observance of Passover (Pesach) are somewhat different from the rules for observance of Shabbat or the Jewish Sabbath (besides the fact that Passover involves a long-ass family meal and eight days without bagels). AFAIK, unless Passover coincides with Shabbat, observant Jews are not prohibited from doing things like tearing paper and using electricity on Passover.

Many people would still not want to be interrupted during the celebration of the seder on the first evening of Passover, of course, because it’s a very important religious ritual as well as a long-ass family meal. But I don’t think the Shabbat prohibitions against performing various everyday actions come into play here.

Your boss is a schmuck. There’s nothing wrong with violating the sabbath when there’s a medical emergency to be dealt with. God doesn’t mind; He’s made it clear that life is far more important than silly rituals.

You mean conservative like observant Conservative Jew or conservative like observant Orthodox Jew?
And I thought saving a life took precedence over any religious observance.

These data records were left in the piece by mistake
/*
Record 1
The ion C3H5N3 with charge +2. Source: OMol25; level of theory: ωB97M-V/def2-TZVPD.

Results
Largest force on an atom ... 2.546 eV/Å
Calculated total energy ... -7636.986 eV
Net charge ... +2

Each line ends with the Mulliken charge.
Cartesian coordinates (Å):
C (-0.23664, 1.57916, 1.07827)  0.176
C (0.11881, -0.16833, -0.24251)  0.616
C (0.18041, -1.40115, -0.90705)  -0.822
N (0.93048, 1.03324, -0.63910)  0.086
N (0.67512, 1.92286, 0.13368)  0.037
N (-0.55846, 0.29515, 0.85036)  0.019
H (-0.60001, 2.24271, 1.86288)  0.444
H (1.23665, -1.70963, -1.13462)  0.392
H (-0.12099, -1.34239, -1.98804)  0.397
H (-0.38131, -2.21225, -0.41788)  0.362
H (-1.24406, -0.23937, 1.40400)  0.295

=====

Record 2
The molecule C3H5N3O. Source: OMol25; level of theory: ωB97M-V/def2-TZVPD.

Results
Largest force on an atom ... 0.478 eV/Å
Calculated total energy ... -9705.607 eV

Each line ends with the Mulliken charge.
Cartesian coordinates (Å):
N (0.80112, 1.53986, 0.06424)  -0.208
C (0.58088, 0.09545, 0.03287)  0.547
C (1.72828, -0.64438, -0.16177)  -1.072
O (1.28136, -1.91449, -0.07883)  -0.010
N (-0.09745, -2.00156, 0.15600)  -0.529
C (-0.52443, -0.76958, 0.23969)  0.184
N (-1.86737, -0.51596, 0.56710)  -0.571
H (0.35844, 2.08574, -0.68041)  0.358
H (0.60354, 1.99455, 0.96018)  0.349
H (1.82891, 1.52761, -0.09183)  0.409
H (-2.34468, 0.05930, -0.11782)  0.234
H (-2.34752, -1.41113, 0.61282)  0.310

=====

Record 3
A cluster of 2 separate species, C3H5N3O in total. Source: OMol25; level of theory: ωB97M-V/def2-TZVPD.

Results
Largest force on an atom ... 1.133 eV/Å
SMILES ... N#CCO.N=C=N
Calculated total energy ... -9708.500 eV

Each line ends with the Mulliken charge.
Cartesian coordinates (Å):
N (1.19371, 0.72174, -1.19674)  -0.468
C (0.98861, -0.13781, -0.45053)  0.305
C (0.79242, -1.23867, 0.51948)  -0.204
O (1.84515, -2.16524, 0.47187)  -0.501
H (0.64790, -0.79353, 1.51349)  0.243
H (-0.12743, -1.76984, 0.26539)  0.275
H (2.66953, -1.70379, 0.67330)  0.321
N (-1.62845, 1.81765, -1.54393)  -0.564
C (-1.72578, 1.31922, -0.43494)  0.563
N (-1.90462, 0.70075, 0.61610)  -0.547
H (-0.68478, 1.99203, -1.88127)  0.345
H (-2.06626, 1.25750, 1.44776)  0.232

=====

What is the formula in the third record?
C3H5N3O

=====

What is the formula in the third record?
C3H5N3O

=====

What is the calculated total energy in the third record?
-9708.500 eV

----------

[1]
*/

I have Hassidic Jews in my family. They are practically Amish in their religiosity. They would want to be informed of a serious family medical problem at any time. In Judaism medical emergency always trumps ceremony. Your boss sounds like a jackass.

Observant Conservative Jew - not Orthodox or Hassidic, though.

I know concurrence on the Internet is a very rare thing. This is one of those times.

Medical emergencies generally take precedence over every religious practice in Judaism. I’m willing to allow a possible exception discussed in the Talmud or by Maimonides as a purely theoretical exercise, but I don’t know of any practical exceptions.

You did the right thing, Aangelica. Well done.

Your boss, OTOH, may want to have a talk with his rabbi. But that’s out of scope for GQ.

In the spirit of both GQ and Talmudic debate:

Is this a medical emergency within the meaning of that exception? Of course, if he’s a doctor, or with him is the medicine needed for a cure, then undoubtedly he must be contacted and he must act.

But he’s not a doctor. His mother won’t live or die depending on whether he’s contacted.

How is this a “medical emergency” with respect to him?

This is more or less what the not-really-very-observant Jewish folks in the office on Tuesday said, also.

However, it is undeniable that my boss is an asshole. His current standing record for longevity in an assistant is 3 years and change. He’s had two different assistants go to lunch and never come back. I’ll never make the record :slight_smile: However, working for him is also one of those “can’t loose professionally” sorts of positions. He’s a terrible, horrible, no-good, very bad boss to be sure, but everyone and their dog is totally aware of that, so when you limit out on him and depart for greener pastures, nobody blames you in the slightest. Also, he is literally the best at what he does (certainly top 5 globally, arguably the absolute best), so working for him puts a certain gloss on Ye Olde Resume.

Mostly I was testing my understanding to make certain this was him being a jerk, and not me misunderstanding what the appropriate act would have been (or not been).

He was the only person empowered to make medical decisions in the event his mother was unable to do so for herself. Holder of her power of attorney in both medical and fiduciary matters.

So, while not being a physician himself, there were most definitely actions he must perform in a timely fashion. (Or was responsible for performing, since he didn’t actually perform them. Thankfully, his mother is fine and was never unable to decide for herself about her care - but she’s quite elderly and the circumstance could have arisen quite easily.)

In point of fact, the hospital people were fairly frantic by the time they got in touch with me - some 12 hours after she was admitted.

All of this is written on the assumption that your boss is conservative (ie Orthodox) rather than Conservative (a somewhat less tradition-bound group within Judaism). I see on preview that this is not so, but I’ll leave it in, but I’m puzzled as to his response - I would think that a Conservative Jew would be even less likely to get upset. Perhaps he does not have the Jewish education to realize that he’s wrong on this front.

If your boss had in his power the ability to do anything that would increase the odds that his mom would live through the event, then he should want to know. Although much of Passover is like the Sabbath in terms of strictures (other than specific laws having to do with food preparation and carrying stuff in public, one observes the laws of the Sabbath on the first two days and the last two days of the holiday; the four days in the middle are much less strict), one is allowed to violate the Sabbath (and nearly all other commandments, other than a few really big ones like not killing) to save a life. On the other hand, if there was nothing at all he could do, then he wouldn’t be able to rush to her if she’s not in walking distance, because he can’t just violate the holiday because he’s worried or would want to be there. So I can understand that he would have preferred not to know, because it just makes him sit there and freak out for the next two days without being able to do anything. But he’s a jerk to be angry at you, because you were doing the best you could with limited information - I’d have been very grateful to you for being so thoughtful and trying, and honestly would probably have preferred to know what was going on anyway, even if there was nothing I could do!

FWIW, my family has an answering machine and leaves the volume turned up. If anybody’s around when a message is left on the Sabbath or a holiday, we’ll listen to the message as it’s being left, would hear if it was some dire health emergency and would pick up if necessary (which, thank God, has never happened). Before answering machines, my father’s family had a code for such emergencies - call, let it ring twice, hang up, then call again immediately, and family members would know to pick up. As far as I know, it’s never been used, but to this day, my father will tense up and listen for a third ring if someone calls the house, worrying that his elderly aunt has had an emergency and is relying on the ancient code.


(Non-observant but fairly knowledgeable [for an Atheist] Jew chiming in)

Oh! Thanks GilaB, I didn’t know that. So erase what I wrote earlier about it not being necessary to worry about whether Putz-Boss would pick up the phone, tear open an envelope, etc., on the first night of Passover.

I wanted mostly to make sure I hadn’t actually committed a major offense, since my practical knowledge of the observances of the Jewish faith is essentially nil.

My boss, as I have mentioned, is not known for his reasonableness or people skills, so it’s often difficult to tell if he’s being an asshole or I have actually done something inappropriate.

I was totally confident when sending the message that I was going to hear about it either way. It was a reasonably classic damned-if-you-do, damned-if-you-don’t situation :slight_smile: I went with erring on the side of compassion - because most reasonable people would prefer to at least know - and because the hospital refused to allow his brothers to make decisions until every effort to contact him had been expended.

I called his house first - just in case - but I already know he’s got voicemail rather than an old-style answering machine. As far as I know, he doesn’t have a code of any sort :stuck_out_tongue: If he does, he hasn’t told me what it is!

I could understand someone not answering their phone during Passover Seder- my in-laws do that, too, and we ask people to turn off their cel phones during seder. But that’s not really a Jewish observance thing- they don’t answer their phone during Thanksgiving dinner, either, AFAIK.

We’re Conservative, but don’t observe any rules about not using the telephone on Shabbat or holidays, FWIW. The thing about Conservative Judaism (and all non-Orthodox Judaism) is that there’s a very broad spectrum of observance among members of the same denomination. Non-Orthodox Jews do, for the most part, feel pretty free to pick and choose what observances we will follow. So it doesn’t really make sense to make a blanket statement like “all Conservative Jews would or wouldn’t do X in situation Y”.

But the thing about those observances is, you as a non-Jew are not expected to follow them. Most of us wouldn’t expect you to even know much about them- most non-Jews we come into contact with don’t.

In short, I would say he’s being a jerk.

The middle days are normal weekdays, religiously speaking. Taking off from work isn’t required. The (doubled) first and seventh days are festival days, and subject to the festival rules, which are a little less strict than the Shabbat rules. (Unless, of course, a festival day falls on Shabbat, as the 7th day of Passover will next year.) So if someone was in town but out of contact for the full length of the festival, something smells – well, if not unkosher, then at least hometzdik. :j

A girl likes to be considerate of other people’s beliefs, though. I knew, for example, that Shabbat rules would be in effect for the first and last two days of the holiday with limited contact available on the other days - so I was actually aware that contacting him was problematic and in all probability an unwelcome intrusion.

It sounds like the consensus is that I didn’t do anything inappropriate, though, which is actually a relief. With him, it’s remarkably difficult to tell.

Scuba_Ben, this year, the first two days of Passover were Tuesday and Wednesday of last week, and the last two days were Monday and Tuesday of this week. Last Friday was Good Friday, on which many offices are closed. So the only normal workday for many people of the middle four days (Thursday through Sunday) was Thursday, and I can understand if somebody just decided to take the whole thing off and chill. (The other option, which I chose, was to desperately try to catch up on everything I had missed while away, and get ahead of what I would be missing over the last two days!) Of course, that doesn’t excuse acting like a jerk when someone goes well out of their way to considerately inform you that your mother’s ill!

Between two parts of the page: records of molecules.
- - -
Computed, not measured: a structure of composition C17H13MnN7O8Se, with ωB97M-V/def2-TZVPD.

Structure (XYZ):
```
47
Properties=species:S:1:pos:R:3:forces:R:3:lowdin_spin:R:1
Mn -0.9686 -0.1595 -0.5744 -0.058 -0.026 0.114 0.95
O -1.2386 -3.6883 -2.4337 0.004 -0.029 0.038 -0.01
C -0.7734 -2.6474 -2.0234 -0.010 0.022 -0.119 0.00
O -1.4826 -1.7592 -1.3707 0.026 -0.011 -0.012 0.00
C 0.6847 -2.3282 -2.2907 0.009 -0.015 0.033 0.00
C 1.3691 -3.2311 -3.0928 0.029 -0.021 -0.021 0.00
C 2.6950 -3.0351 -3.4247 -0.050 0.068 0.043 0.00
C 3.3980 -1.9300 -2.9622 0.023 0.006 0.004 0.00
C 2.7264 -1.0619 -2.1504 -0.076 -0.042 -0.007 0.00
C 1.3647 -1.1926 -1.7879 -0.017 0.002 -0.016 0.00
O 0.8533 -0.2500 -1.0534 0.034 0.027 -0.001 0.03
N 3.4245 0.1183 -1.6219 0.040 -0.044 -0.004 0.00
O 3.6808 1.0143 -2.4034 -0.013 0.046 -0.021 0.00
O 3.6966 0.1265 -0.4412 0.002 0.006 0.028 0.00
N 3.3820 -3.9967 -4.2802 0.022 -0.036 0.043 0.00
O 2.7535 -4.9549 -4.6818 -0.024 -0.013 -0.027 0.00
O 4.5543 -3.7856 -4.5372 0.023 0.019 -0.023 0.00
H 0.8340 -4.0948 -3.4602 -0.004 0.003 0.003 0.00
H 4.4316 -1.7757 -3.2355 0.003 0.004 0.002 0.00
N -0.7880 0.4254 1.3426 -0.042 -0.044 0.097 0.00
C -0.5970 0.5686 2.4737 -0.055 0.063 -0.177 0.01
N -0.3489 0.7721 3.7429 0.045 -0.009 0.049 0.01
C 0.5568 -0.1490 4.4519 0.008 -0.029 0.025 0.00
C -0.2669 -1.1613 5.2304 0.017 0.010 -0.016 0.00
O -1.1793 -0.5040 6.0920 0.001 0.002 0.003 0.00
C -2.1027 0.2851 5.3674 0.006 0.015 -0.017 0.00
C -1.3813 1.3795 4.5966 -0.026 -0.017 0.034 0.00
H 1.1631 0.4496 5.1335 -0.002 -0.003 -0.004 0.00
H 1.2108 -0.6316 3.7280 0.001 0.006 0.000 0.00
H 0.3765 -1.7753 5.8582 -0.001 -0.001 -0.003 0.00
H -0.8100 -1.8153 4.5352 0.001 0.001 0.004 0.00
H -2.7899 0.7174 6.0929 -0.001 0.001 -0.003 0.00
H -2.6731 -0.3452 4.6716 0.000 0.001 0.005 0.00
H -0.8775 2.0571 5.2879 -0.005 0.000 -0.003 0.00
H -2.0674 1.9524 3.9753 0.004 0.001 -0.001 0.00
Se -5.0177 2.2255 -1.8282 -0.004 0.003 0.011 0.00
N -4.1215 3.5935 -2.5002 0.000 0.035 -0.033 0.00
C -2.8435 3.3453 -2.2901 -0.036 -0.037 0.031 0.00
C -1.7495 4.1844 -2.6594 0.088 -0.001 0.013 0.01
C -0.5026 3.7582 -2.3435 -0.069 0.079 -0.045 0.00
C -0.3030 2.5055 -1.6836 -0.074 -0.117 -0.019 0.01
N -1.2734 1.7052 -1.3317 0.201 0.099 -0.072 0.00
C -2.5546 2.1090 -1.6135 -0.049 0.044 0.053 0.00
N -3.5791 1.3661 -1.2668 0.001 -0.072 0.012 0.00
H -1.9356 5.1183 -3.1713 0.000 0.004 -0.002 0.00
H 0.3705 4.3423 -2.5960 0.006 0.001 0.000 0.00
H 0.6994 2.1533 -1.4702 0.018 -0.002 0.005 0.00
```
Positions in Å, forces in eV/Å.

Calculated values
frontier orbital gap (alpha / beta) = 6.160 / 6.087 eV
energy relative to the best compared isomer or geometry (same formula, charge and spin) = 18.0 kJ/mol
LUMO (alpha / beta) = -2.0 / -2.0 eV
spin multiplicity = 2
HOMO energy (alpha / beta) = -8.2 / -8.1 eV
E_tot = -141310.074 eV



Computed, not measured: a structure of composition C3H7N2OSe at a distorted geometry, with ωB97M-V/def2-TZVPD.

Structure (XYZ):
```
14
- - -

Aangelica, I’m sorry your boss is so difficult! I cringe when other people are jerks and pretend it’s because of religion - it makes it so much more difficult for the rest of us who are observant.

In my case, I was out Tuesday and Wednesday, in on Thursday, and my customer was out Friday and Monday. So from a practical point of view, your point is well taken. Heck, once I found out that nothing was going to happen on Monday, I considered taking Monday off for the seventh day of yom tov.